No hay una respuesta al siempre, pero sí existe una palabra para aprender de estas materias: lo mejor para ti.
Beauty by my side
Peace be with me
Peace between you and me,
in the making of forgiving you, but not forgetting.
out of respect for me.
maybe then there will be respect for you, as you told me.
Hope Planets
The power of silence is something to deal with sadness, to be quiet so as not to tell the sadness that fills you. And a curious thing is that sadness is stored in the lungs. So the strength of silence leads to weakness and collapse of the lungs.
Coughing. Mucus.
These are the symbols that signal what we are silent about. I was never more aware of how far I was from my dream than when I was standing next to her.
Outcomes cannot be controlled, so what you are aiming for is somewhat paradoxical. Maybe with effort and persistence, they will materialize. And maybe not. The great judges have a plan, even if it is hard to understand.
But what does work is the value of your pillars, because they are what really moves and maintains. Pillars have a reason, they are in you to make you better and keep you going through the storms.
A family to take care of, among all ambitions, is the strongest.
I looked at that reflection, which returned a very strange image of me that I didn't remember, and I asked him questions, thinking if it would help me find a meaning in the middle of the warm night of the soul. Superstitions, flowers. He told me to ask about white roses arriving in the daytime; there I could tell better how fresh the arrivals were. I did not understand him, and he told me, very simply, it is only one way that everyone travels: exile and communication. What is your way?
And I kept thinking in a badly drawn circle that got lost. I only felt then that the mirror's answer; maybe it had to do with saying more about what I feel. even if that was not to the liking of many. I keep thinking about those answers.
I listened to her for a while longer, giving her what little empathy I could have for practice. and wished her good night.
What I thought was harder, but I don't intend to tell her. There is no need for so much cruelty, but this thought of justice that she has is a compensation for not dealing with the dismal of not having loved him so much in the last times of his life, maybe even of feeling overwhelmed to take care of the physical discomfort that illness and old age produce for so many months. Who can blame her? It's complicated, I know. But I also understand that there is an internal process for some in the matter of forgiving, letting go, and learning. I had a connection with what I experienced some years ago with my dad too, but I didn't seek revenge. Maybe because deep down I felt that he was liberated. He was always strong, and now he was strong in the immensity of the cosmos. As light and strength, he could travel to the pillars of creation.
What do I know? It is complex to lose the one who loved and cared for you. It is hard to grow up, and what is harder is to see those who were by your side die. Life is never the same again, and that is the purpose. You learn to see without certain colors and sounds the new life as you take your turn. qepd mr. Long live and prosper.
dust morte
I'll tell you what happened to me: I swam a lot, two hours, four kilometers, with strength and without stopping. It was a relief. When I was about to finish my last km, something ugly happened to me. I already felt the fatigue, but I ignored it, and I paid for it. In the middle of the pool, I got a very intense cramp. on both legs, foot and calves, with a whiplash.
I stayed there, and I had to ask the lifeguard for help. But I remembered two things: I know how to dive, and I know how to swim.
lo perdido
la velocidad del amor
hoy, ¿te vi?
creo que sí, pero estabas de espalda, me sobrepasaste con tu hija cargada sobre hombros, y la peque me miró. y creo que en la hondura de sus ojos me dijo que podías ser tú.
muda tersa de electrones
in the immensity of your beautiful eyes,
and the hope that brings the rarest rose.
**The entry is interrupted by crystal structures**
'''
Record 1
## NaLaTe2N (PBE-GGA)

Data for crystalline NaLaTe2N at its relaxed geometry.

The structure in CIF format:
```
data_NaLaTe2N
_chemical_formula_sum 'Na1 La1 Te2 N1'
_cell_length_a 5.646
_cell_length_b 5.646
_cell_length_c 4.382
_cell_angle_alpha 90.00
_cell_angle_beta 90.00
_cell_angle_gamma 90.00
_symmetry_space_group_name_H-M 'P 4/m m m'
_symmetry_Int_Tables_number 123
_symmetry_space_group_name_Hall '-P 4 2'
loop_
_atom_site_label
_atom_site_type_symbol
_atom_site_fract_x
_atom_site_fract_y
_atom_site_fract_z
Na1 Na 0.000 0.000 0.000
La1 La 0.500 0.500 0.500
Te1 Te 0.000 0.500 0.000
N1 N 0.000 0.000 0.500
```

Output
Distance to the lowest polymorph of the same formula, eV per atom: 0.3597

***

Record 2
## P3BrCl (PBE-GGA)

Data for crystalline P3BrCl at its relaxed geometry.

The structure in CIF format:
```
data_P3BrCl
_chemical_formula_sum 'P3 Br1 Cl1'
_cell_length_a 4.760
_cell_length_b 4.760
_cell_length_c 4.760
_cell_angle_alpha 90.00
_cell_angle_beta 90.00
_cell_angle_gamma 90.00
_symmetry_space_group_name_H-M 'P m -3 m'
_symmetry_Int_Tables_number 221
_symmetry_space_group_name_Hall '-P 4 2 3'
loop_
_atom_site_label
_atom_site_type_symbol
_atom_site_fract_x
_atom_site_fract_y
_atom_site_fract_z
P1 P 0.000 0.000 0.500
Br1 Br 0.500 0.500 0.500
Cl1 Cl 0.000 0.000 0.000
```

Output
Distance to the lowest polymorph of the same formula, eV per atom: 0.0000

***

Record 3
## PmNpS2 (PBE-GGA)

Data for crystalline PmNpS2 at its relaxed geometry.

The structure in CIF format:
```
data_PmNpS2
_chemical_formula_sum 'Pm2 Np2 S4'
_cell_length_a 3.9487
_cell_length_b 3.9487
_cell_length_c 13.1601
_cell_angle_alpha 90.00
_cell_angle_beta 90.00
_cell_angle_gamma 120.00
_symmetry_space_group_name_H-M 'P 63/m m c'
_symmetry_Int_Tables_number 194
_symmetry_space_group_name_Hall '-P 6c 2c'
loop_
_atom_site_label
_atom_site_type_symbol
_atom_site_fract_x
_atom_site_fract_y
_atom_site_fract_z
Pm1 Pm 0.3333 0.6667 0.2500
Np1 Np 0.0000 0.0000 0.0000
S1 S 0.3333 0.6667 0.6175
```

Output
Distance to the lowest polymorph of the same formula, eV per atom: 0.0225

***

Which electronic total energy belongs to each record? In order, -4.013, -2.414, -8.172 eV/atom.
Which formation energy without anion corrections belongs to each record? In order, 0.159, 1.536, -1.686 eV/atom.
'''
**So much for the crystal structures**
Your love blooms until I float singing.
Yellow feline god, maybe you are a witness,
she and I, we love one another in a place from which,
no matter how far we reach out, we'll always think of each other.
Living on and on, in magic and distance.
soviet dancer
magicians by nature, your gift is to create. in a world of astral white magic. of all, the roughest and the sweetest.
Hay tantos recuerdos, hay tantas promesas entre los que caminamos en estos pasillos a la espera de abordar. El tiempo está a mi favor, vine temprano y puedo sentarme a escribir y saludar. Y con los sueños y la vida cerquita al cielo, uno reflexiona sobre el camino del amor, ese camino que lleva a que uno se vuelva loco de amor y haga locuras cargadas de mucha estupidez, ciega emoción, nulo tino, extensos textos y harta vulnerabilidad. Luego solo queda cargar con la culpa y la vergüenza, al ver las crueles consecuencias cuando te arriesgas y pierdes, porque era la persona equivocada ya que su locura es de otra, no por ti.
Deseo que estés feliz y en paz
Deseo que estés acompañada y segura
Deseo que tengas tu vida con amor.